
Print...print...print. The Bicycle Typogram is printed. Card, flood, print, pull, dry. Each impression represents a unique moment in time. Registration E tabs, press micro-adjustments, stencil-restricted ink deposits, attempts to make each moment an exact replica - the tick tock of a perfect clock. But perfection is not easily reproduced.

On the edge of a precipice, travels your squeegee, herding a wave of liquid ink past photo-hardened polymer and tape into dry wood pulp. When chaos is your partner on the human-powered hydrodynamic press, the clock melts into a continuum, & forces free from friction flow fluid fantastically.

• Between two parts of the article: molecular data:
~~~
The ion CH6N3 with charge +1 at a distorted geometry, computed with ωB97M-V/def2-TZVPD.

Each line ends with the Löwdin charge.
Element x y z (Å)
N1 -0.1711 1.3189 -0.0347  0.197
C1 0.0011 -0.0410 -0.0080  -0.377
N2 -1.0667 -0.9053 0.0621  0.199
N3 1.2825 -0.4906 -0.1606  0.217
H1 -0.9820 1.7675 0.3322  0.125
H2 0.6369 1.9049 0.1564  0.133
H3 -1.9773 -0.5278 -0.2334  0.146
H4 -0.9977 -1.8330 -0.2798  0.116
H5 1.8906 0.2532 0.1192  0.125
H6 1.3837 -1.4467 0.0466  0.119

Calculated values
- orbital gap (hartree) = 0.4675
- HOMO energy (eV) = -16.31
- energy above the lowest of the compared OMol25 structures with the same formula, charge and spin (kcal/mol) = 4.6
- charge = +1
- SMILES = NC(N)=[NH2+]

* * * * *

The following is a DFT calculation (wB97M-V/def2-TZVPD) of a 3-piece molecular cluster, C25H38F4N2O2 overall at a distorted geometry.

Properties
- DFT total energy: -1634.28371 a.u.
- Energy relative to the best compared isomer or geometry (same formula, charge and spin): 1464.1 kJ/mol
- E_HOMO: -7.883 eV

Last column: Mulliken charge in e.
CARTESIAN COORDINATES (ANGSTROEM)
1 O 1.997 -0.880 5.094  -0.538
2 C 2.253 -0.462 3.840  0.496
3 C 3.731 -0.653 3.103  -0.377
4 C 4.105 0.206 1.915  -0.343
5 C 3.096 1.398 1.321  0.288
6 O 3.557 2.495 0.672  -0.485
7 C 1.489 1.181 1.600  0.240
8 C 0.263 1.817 0.695  0.081
9 F 0.569 2.671 -0.512  -0.114
10 C -1.355 1.581 1.044  -0.717
11 C -1.706 0.643 2.370  0.630
12 C -3.269 0.335 2.867  -0.812
13 C -3.594 -1.261 2.696  -0.028
14 C -4.658 -1.636 1.508  0.810
15 F -3.900 -2.209 0.372  -0.242
16 F -5.608 -0.558 1.148  -0.258
17 F -5.505 -2.763 2.051  -0.283
18 C -0.512 -0.030 3.297  -0.575
19 C 1.078 0.238 2.917  0.244
20 H 4.415 -1.501 3.547  0.315
21 H 5.164 0.045 1.389  0.312
22 H -2.204 2.073 0.365  0.299
23 H -3.277 0.643 4.020  0.270
24 H -3.994 1.059 2.303  0.417
25 H -2.561 -1.778 2.392  -0.373
26 H -3.887 -1.742 3.730  0.366
27 H -0.757 -0.714 4.228  0.291
28 C -0.133 -3.303 2.458  -1.004
29 C -0.045 -4.330 1.333  -0.498
30 N 0.009 -5.718 1.800  0.084
31 C 0.376 -6.669 0.746  -0.692
32 C -0.589 -6.832 -0.425  -0.944
33 C -1.079 -6.153 2.679  -0.689
34 C -2.503 -6.044 2.147  -0.863
35 H 0.691 -3.423 3.170  0.377
36 H -0.072 -2.291 2.043  0.323
37 H -1.079 -3.373 3.004  0.233
38 H 0.872 -4.109 0.775  0.424
39 H -0.879 -4.168 0.641  0.199
40 H 0.559 -7.655 1.191  0.354
41 H 1.350 -6.364 0.340  0.396
42 H -1.470 -7.413 -0.143  0.218
43 H -0.094 -7.379 -1.235  0.397
44 H -0.916 -5.873 -0.835  0.266
45 H -1.017 -5.576 3.609  0.345
46 H -0.900 -7.188 2.997  0.362
47 H -2.695 -5.092 1.644  0.157
48 H -3.212 -6.118 2.980  0.358
49 H -2.740 -6.856 1.458  0.280
50 C 1.102 7.412 -5.841  -1.404
51 C 1.601 6.871 -4.505  -0.317
52 N 0.718 5.867 -3.905  0.105
53 C 1.050 5.565 -2.508  -0.784
54 C 2.402 4.914 -2.230  -0.916
55 C 0.396 4.704 -4.734  -0.686
56 C 1.557 3.855 -5.240  -0.935
57 H 0.088 7.817 -5.751  0.324
58 H 1.756 8.223 -6.181  0.430
59 H 1.104 6.645 -6.621  0.288
60 H 1.675 7.728 -3.825  0.426
~~~

Today the storm brings high waves, and the water is blended with pearl copper pigment. The rain adds humidity to the mix, slowing the pace, revealing more color. The smooth, uncoated, Classic Crest paper, provides a steady backdrop with it's natural color.

Color... color... color... some live and some die for a color. Will you cry out for a color, at least open your eyes to these colors? Think now, will you buy now that color... color... color?

Deckled-edge Stonehenge paper is 100% cotton, you can feel it. The print sits comfortably upon it's surface.

Printing can be messy. I wear an apron. Even still, the wet ink gets on my fingers, and my fingers touch the paper. The paper touches the print bed, and the print bed touches the other paper…

Print-making is alive in Los Angeles at Grow Your Own Media, where a peaceful garden and botanic nursery surround a professional community screen-printing studio. Tomas Staub, creator of this gem, offers classes in the ways of the art, and makes the studio available on a per-project basis. Printing is unpredictable, but if you do catch a great wave of ink, you can ride it all the way to the end here.

Yes – multi-color. The soft white paper is indelibly perverted with an eye-popping triad of fluorescent orange, fluorescent blue, and fluorescent green racing ink, reflecting wavelengths of light impossible to capture in photography. 100% rag, chromatically run over by 3 blazing fluorescent inks.

A bicycle frame in a screen frame, printing art to be framed. You click - or - tap to let the print get closer to you. Then back away. Made with quality components, it's time-tested and true.

Letterpress printing is the same concept as Johannes Gutenberg's printing 'wine-press' - press the paper onto the inked letters, and after nearly 600 years, still leaves a superior impression to most other methods. The Bicycle Typograms are pressed from magnesium plates (modern), and the Interjections are composed from battered antique wooden type (note the cracks, grain and other artifacts when you view full size).

Printed upon the infamous acid-free 100% cotton Rising Stonehenge archival paper, made in the USA. Rising makes museum boards, so the print and matting will get along for years to come. Stonehenge paper is the real deal, and has those chaotic deckled edges that turn multi-color registration into zen archery.

Every print on this run is a perfect print. This one rests at the paper print station in front of the drying rack of the growing Grow Your Own Media, where there's empty space, time to spare, an ink-mixing station, a roomy dark-room, a backlit wash-out sink, and a lounge. Fine art.

3… 3… 3… The Bicycle Typogram is now printed in 3 colors. A limited edition of 33 prints, hand pulled by me, Aaron Kuehn, as museum quality art specifically for custom framing (to protect the delicate chemistry from the ravages of our harsh planet, and make the formal viewing experience more profound). This edition is unspeakably HOT.

They are stupid awesome, if you're into that sort of thing, and you are, right?

You can get lost in a color like this. Lost in the length of the waves.

Mini... mini... miniature... Letterpressed miniature prints are type-high. The first spoils from a foray into the realm of pressed letters. Known in the art as broadsides, these are a little less broad, so they are mini prints here, all crisply pressed with the best non-toxic rubber inks on Fabriano Medioevalis cards. Fabriano has been making paper like this in the same mills in Italy since the early Middle Ages!

The value of gold, is in your mind. Will you eat, though bold, that fluorescent orange? Can you stop time, with a fresh color green... of lubricants licking the bearings of the machine?

Smiles all around as the last print is made and nearly all impressions are pulled off with absolute perfection. A numbered edition of 80 is declared, and the prints are left to dry in the setting California sun. Time to clean the tools, eat a burrito, and pose with signed artist proofs for the print studio.